Exercise:
Filter the data underneath: keep the lines with the word "moment".

Input:
********
# DyHo6Ni2

A relaxed structure of DyHo6Ni2 (PBE, Alexandria via LeMat-Bulk).

Results
**ΔE_f**: -12.6 kJ/mol of atoms
**DOS(E_F)**: 52.41 states/eV/cell
**Volume**: 26.1 Å³ per atom
**Magnetic moment**: 0.0 μB/f.u.
**Mass density**: 8.98 g/cm3

Structure (CIF):
```
data_DyHo6Ni2
_space_group_name_H-M_alt 'I m m m'
_space_group_IT_number 71
_space_group_name_Hall '-I 2 2'
_cell_length_a 9.058
_cell_length_b 10.096
_cell_length_c 10.265
_cell_angle_alpha 90.00
_cell_angle_beta 90.00
_cell_angle_gamma 90.00
loop_
_atom_site_label
_atom_site_type_symbol
_atom_site_fract_x
_atom_site_fract_y
_atom_site_fract_z
_atom_site_occupancy
Dy1 Dy 0.000 0.000 0.000 1
Dy2 Dy 0.000 0.000 0.500 1
Ho1 Ho 0.000 0.218 0.225 1
Ho2 Ho 0.195 0.500 0.188 1
Ho3 Ho 0.198 0.309 0.500 1
Ni1 Ni 0.000 0.364 0.000 1
Ni2 Ni 0.000 0.500 0.380 1
```

# Dy12HoNi6

A relaxed structure of Dy12HoNi6 (PBE, Alexandria via LeMat-Bulk).

Results
**ΔE_f**: -23.2 kJ/mol of atoms
**DOS(E_F)**: 47.48 states/eV/cell
**Volume**: 25.0 Å³ per atom
**Magnetic moment**: 0.0 μB/f.u.
**Mass density**: 8.63 g/cm3

Structure (CIF):
```
data_Dy12HoNi6
_space_group_name_H-M_alt 'I m -3'
_space_group_IT_number 204
_space_group_name_Hall '-I 2 2 3'
_cell_length_a 9.828
_cell_length_b 9.828
_cell_length_c 9.828
_cell_angle_alpha 90.00
_cell_angle_beta 90.00
_cell_angle_gamma 90.00
loop_
_atom_site_label
_atom_site_type_symbol
_atom_site_fract_x
_atom_site_fract_y
_atom_site_fract_z
_atom_site_occupancy
Dy1 Dy 0.000 0.184 0.311 1
Ho1 Ho 0.000 0.000 0.000 1
Ni1 Ni 0.000 0.376 0.500 1
```

# Dy2Ho2Ni15

A relaxed structure of Dy2Ho2Ni15 (PBE, Alexandria via LeMat-Bulk).

Results
**ΔE_f**: -23.7 kJ/mol of atoms
**DOS(E_F)**: 77.03 states/eV/cell
**Volume**: 13.9 Å³ per atom
**Magnetic moment**: 2.3 μB/f.u.
**Mass density**: 9.67 g/cm3

Structure (CIF):
```
data_Dy2Ho2Ni15
_space_group_name_H-M_alt 'R -3 m'
_space_group_IT_number 166
_space_group_name_Hall '-R 3 2"'
_cell_length_a 8.5103
_cell_length_b 8.5103
_cell_length_c 12.6061
_cell_angle_alpha 90.00
_cell_angle_beta 90.00
_cell_angle_gamma 120.00
loop_
_atom_site_label
_atom_site_type_symbol
_atom_site_fract_x
_atom_site_fract_y
_atom_site_fract_z
_atom_site_occupancy
Dy1 Dy 0.0000 0.0000 0.1389 1
Ho1 Ho 0.0000 0.0000 0.3890 1
Ni1 Ni 0.0000 0.3111 0.5000 1
Ni2 Ni 0.0000 0.5000 0.0000 1
Ni3 Ni 0.0112 0.5056 0.6569 1
```

# Dy2Ho3Ni2

A relaxed structure of Dy2Ho3Ni2 (PBE, Alexandria via LeMat-Bulk).

Results
**ΔE_f**: -25.3 kJ/mol of atoms
**DOS(E_F)**: 19.03 states/eV/cell
**Volume**: 24.7 Å³ per atom
**Magnetic moment**: 0.0 μB/f.u.
**Mass density**: 8.99 g/cm3

Structure (CIF):
```
data_Dy2Ho3Ni2
_space_group_name_H-M_alt 'C 1 2/m 1'
_space_group_IT_number 12
_cell_length_a 12.087
_cell_length_b 3.590
_cell_length_c 8.928
_cell_angle_alpha 90.00
_cell_angle_beta 116.62
_cell_angle_gamma 90.00
loop_
_space_group_symop_operation_xyz
'x,y,z'
'-x,-y,-z'
'-x,y,-z'
'x,-y,z'
'x+1/2,y+1/2,z'
'-x+1/2,-y+1/2,-z'
'-x+1/2,y+1/2,-z'
'x+1/2,-y+1/2,z'
loop_
_atom_site_label
_atom_site_type_symbol
_atom_site_fract_x
_atom_site_fract_y
_atom_site_fract_z
_atom_site_occupancy
Dy1 Dy 0.166 0.000 0.311 1
Ho1 Ho 0.000 0.500 0.500 1
Ho2 Ho 0.116 0.500 0.934 1
Ni1 Ni 0.173 0.000 0.739 1
```

# Dy3HoNi

A relaxed structure of Dy3HoNi (PBE, Alexandria via LeMat-Bulk).

Results
**ΔE_f**: -2.2 kJ/mol of atoms
**DOS(E_F)**: 9.81 states/eV/cell
**Volume**: 29.7 Å³ per atom
**Magnetic moment**: 0.0 μB/f.u.
**Mass density**: 7.94 g/cm3

Structure (CIF):
```
data_Dy3HoNi
_space_group_name_H-M_alt 'P m -3 m'
_space_group_IT_number 221
_space_group_name_Hall '-P 4 2 3'
_cell_length_a 5.298
_cell_length_b 5.298
_cell_length_c 5.298
_cell_angle_alpha 90.00
_cell_angle_beta 90.00
_cell_angle_gamma 90.00
loop_
_atom_site_label
_atom_site_type_symbol
_atom_site_fract_x
_atom_site_fract_y
_atom_site_fract_z
_atom_site_occupancy
Dy1 Dy 0.000 0.000 0.500 1
Ho1 Ho 0.500 0.500 0.500 1
Ni1 Ni 0.000 0.000 0.000 1
```

# DyHo7Ni2
********

Result:
**Magnetic moment**: 0.0 μB/f.u.
**Magnetic moment**: 0.0 μB/f.u.
**Magnetic moment**: 2.3 μB/f.u.
**Magnetic moment**: 0.0 μB/f.u.
**Magnetic moment**: 0.0 μB/f.u.